The Tallest Man On Earth - The Gardner (ada disini)
I sense a runner in the garden
Although my judgements known to fail
Once built a steamboat in a meadow
Cos I'd forgotten how to sail
I know the runner's going to tell you
There ain't no cowboy in my hair
So now he's buried by the daisies
So I could stay the tallest man in your eyes, babe
I sense a spy up in the chimney
From all the evidence I've burned
I guess he'll read it in the smoke now
And soon to ashes I'll return
I know the spy is going to tell you
It's not my flag up in the pole
So now he's buried by the lilies
So I could stay forever more in your eyes, babe
What comes next are records of crystals, not part of the entry.
# 1
The following is a simulated powder X-ray diffraction pattern of Fe5Cu3. It was derived from a PBE-relaxed structure, using λ = 1.5418 Å (Cu Kα).
Peak positions follow from Bragg's law for the DFT cell and can differ from measured ones.

Largest 7 diffraction maxima, sorted by position, 2θ from 10° to 80°:
| Position (°2θ) | Rel. int. |
| --- | --- |
| 43.37 | 100 |
| 49.02 | 17 |
| 50.87 | 15 |
| 51.61 | 14 |
| 73.33 | 9 |
| 73.93 | 9 |
| 75.40 | 8 |

Cell and atoms:
a b c (Å): 7.084 7.433 3.590
angles (deg): 90.00 90.00 90.00
Space group Cmmm (No. 65)
Symmetry-distinct sites (fractional):
Fe1 0.000 0.000 0.000
Fe2 0.000 0.248 0.500
Fe3 0.250 0.250 0.000
Cu1 0.000 0.500 0.000
Cu2 0.247 0.500 0.500


# 2
The following is a simulated powder X-ray diffraction pattern of Co6Ni5Rh. It was derived from a PBE-relaxed structure, using λ = 1.5418 Å (Cu Kα).
Peak positions follow from Bragg's law for the DFT cell and can differ from measured ones.

Largest 10 diffraction maxima, sorted by position, 2θ from 10° to 80°:
| Position (°2θ) | Rel. int. |
| --- | --- |
| 12.25 | 1 |
| 20.80 | 1 |
| 24.65 | 1 |
| 29.39 | 1 |
| 44.10 | 100 |
| 50.55 | 16 |
| 51.79 | 30 |
| 75.17 | 5 |
| 75.32 | 14 |
| 76.28 | 9 |

Cell and atoms:
a b c (Å): 3.532 10.587 7.223
angles (deg): 90.00 90.12 90.00
Space group C2/m (No. 12)
Symmetry-distinct sites (fractional):
Co1 0.000 0.000 0.244
Co2 0.000 0.331 0.247
Ni1 0.000 0.166 0.000
Ni2 0.000 0.171 0.500
Ni3 0.000 0.500 0.000
Rh1 0.000 0.500 0.500


# 3
The following is a simulated powder X-ray diffraction pattern of LiB11. It was derived from a PBE-relaxed structure, using λ = 1.5418 Å (Cu Kα).
Peak positions follow from Bragg's law for the DFT cell and can differ from measured ones.

Largest 10 diffraction maxima, sorted by position, 2θ from 10° to 80°:
| Position (°2θ) | Rel. int. |
| --- | --- |
| 22.34 | 14 |
| 25.35 | 100 |
| 40.95 | 12 |
| 42.91 | 10 |
| 45.59 | 31 |
| 58.87 | 10 |
| 65.73 | 12 |
| 67.56 | 19 |
| 69.67 | 17 |
| 71.07 | 19 |

Cell and atoms:
a b c (Å): 4.8280 4.8280 12.9674
angles (deg): 90.00 90.00 120.00
Space group R3m (No. 160, hexagonal axes)
Symmetry-distinct sites (fractional):
Li1 0.0000 0.0000 0.0000
B1 0.0000 0.0000 0.3148
B2 0.0000 0.0000 0.5691
B3 0.0795 0.5397 0.8706
B4 0.0934 0.5467 0.4592
B5 0.2012 0.4025 0.3496


# 4
The following is a simulated powder X-ray diffraction pattern of CsSbPHPt. It was derived from a PBE-relaxed structure, using λ = 1.5418 Å (Cu Kα).
Peak positions follow from Bragg's law for the DFT cell and can differ from measured ones.

Largest 10 diffraction maxima, sorted by position, 2θ from 10° to 80°:
| Position (°2θ) | Rel. int. |
| --- | --- |
| 13.53 | 71 |
| 21.05 | 36 |
| 26.93 | 80 |
| 27.26 | 51 |
| 29.78 | 100 |
| 34.55 | 41 |
| 36.34 | 30 |
| 45.94 | 35 |
| 46.57 | 30 |
| 51.11 | 33 |

Cell and atoms:
a b c (Å): 4.610 4.267 6.767
angles (deg): 90.00 104.81 90.00
Space group Pm (No. 6)
Symmetry-distinct sites (fractional):
Cs1 0.000 0.000 0.000
I sense a leak inside my phone now
From all the lies I have told
I know he has your private number
And soon he'll make that vicious call
I know the leak is going to tell you
There ain't no puppy in your leash
So now he'll fertilize the roses
So I could stay the king you see
In your eyes, babe
So now we're dancing through the garden
And what a garden I have made
# Next to the article, the page also holds data records
[1]
For YMg6Nb, the GGA-PBE geometry in the Materials Project gives the simulated PXRD pattern in this record (Cu Kα X-rays).
Peak positions follow from Bragg's law for the DFT cell and can differ from measured ones.

The 10 most intense peaks (2θ from 10° to 90°), by angle:
d/Å, two_theta, I/Imax
5.603, 15.82, 43.4
5.149, 17.22, 33.3
3.791, 23.46, 30.3
2.788, 32.11, 32.7
2.575, 34.85, 36.4
2.461, 36.51, 48.9
2.452, 36.66, 100.0
1.891, 48.11, 20.4
1.462, 63.64, 27.9
1.368, 68.60, 18.4

Structural model:
Lattice parameters (Å, degrees): 5.1490 6.4274 11.2075 90.00 90.00 90.00
Space group Amm2 (No. 38)
Symmetry-distinct sites (fractional):
Y1 0.0000 0.0000 0.0000 x2
Mg1 0.0000 0.2482 0.2527 x4
Mg2 0.5000 0.0000 0.1711 x2
Mg3 0.5000 0.0000 0.6604 x2
Mg4 0.5000 0.2344 0.4226 x4
Nb1 0.0000 0.0000 0.4999 x2

---

[2]
For BaAlCuSbO5, the GGA-PBE geometry in the Materials Project gives the simulated PXRD pattern in this record (Cu Kα X-rays).
Peak positions follow from Bragg's law for the DFT cell and can differ from measured ones.

The 10 most intense peaks (2θ from 10° to 90°), by angle:
d/Å, two_theta, I/Imax
8.722, 10.14, 52.9
4.361, 20.37, 28.4
3.672, 24.24, 82.9
2.967, 30.12, 100.0
2.907, 30.76, 39.4
2.863, 31.24, 71.2
2.361, 38.11, 35.3
2.024, 44.77, 53.1
1.672, 54.91, 37.0
1.661, 55.30, 26.5

Structural model:
Lattice parameters (Å, degrees): 4.0487 4.0487 8.7215 90.00 90.00 90.00
Space group P4mm (No. 99)
Symmetry-distinct sites (fractional):
Ba1 0.0000 0.0000 0.0000 x1
Al1 0.0000 0.0000 0.4302 x1
Cu1 0.5000 0.5000 0.4011 x1
Sb1 0.5000 0.5000 0.7620 x1
O1 0.0000 0.5000 0.4027 x2
O2 0.0000 0.5000 0.7643 x2
O3 0.5000 0.5000 0.9939 x1


Computed X-ray powder pattern of Li6ZrBeF12 for Cu Ka, from a PBE-relaxed structure.
Kinematic intensities with the Lorentz-polarization factor, no thermal factor.

Main lines, by intensity (10° ≤ 2θ ≤ 90°):
| 2θ/deg | Rel. int. | index |
| --- | --- | --- |
| 21.07 | 100 | 1 1 2 |
| 14.09 | 89 | 1 0 1 |
| 19.45 | 52 | 1 0 3 |
| 32.94 | 50 | 2 0 4 |
| 55.22 | 38 | 2 2 8 |
| 45.51 | 37 | 2 1 7 |
| 38.54 | 37 | 2 1 5 |
| 39.49 | 33 | 2 0 6 |
| 43.17 | 32 | 3 0 3 |
| 18.91 | 30 | 0 0 4 |
| 26.72 | 28 | 2 0 0 |
| 55.05 | 27 | 4 0 0 |

Atomic structure:
Cell lengths 6.6729, 6.6729, 18.7672 Å; angles 90.00, 90.00, 90.00 degrees
Space group I4_1/amd (No. 141, origin choice 2)
Asymmetric unit:
Li: 0.0000 0.2500 0.1034 (multiplicity 8)
Li: 0.2321 0.0000 0.0000 (multiplicity 16)
Zr: 0.0000 0.2500 0.3750 (multiplicity 4)
Be: 0.0000 0.2500 0.8750 (multiplicity 4)
F: 0.0000 0.0193 0.2910 (multiplicity 16)
F: 0.0000 0.0342 0.5773 (multiplicity 16)
F: 0.0000 0.0590 0.9253 (multiplicity 16)

Computed X-ray powder pattern of LuBeNF6 for Cu Ka, from a PBE-relaxed structure.
Kinematic intensities with the Lorentz-polarization factor, no thermal factor.

Main lines, by intensity (10° ≤ 2θ ≤ 90°):
| 2θ/deg | Rel. int. | index |
| --- | --- | --- |
| 18.49 | 100 | 0 1 1 |
| 22.25 | 62 | 1 1 0 |
| 26.51 | 37 | 0 0 2 |
And now that death will grow my jasmine
I find it soothing I'm afraid
Now there is no need for suspicion
There ain't no frog kissing your hand
I won't be lying when I tell you
That I'm a gardner I'm a man
In your eyes babe
Although my judgements known to fail
Once built a steamboat in a meadow
Cos I'd forgotten how to sail
I know the runner's going to tell you
There ain't no cowboy in my hair
So now he's buried by the daisies
So I could stay the tallest man in your eyes, babe
I sense a spy up in the chimney
From all the evidence I've burned
I guess he'll read it in the smoke now
And soon to ashes I'll return
I know the spy is going to tell you
It's not my flag up in the pole
So now he's buried by the lilies
So I could stay forever more in your eyes, babe
I sense a leak inside my phone now
From all the lies I have told
I know he has your private number
And soon he'll make that vicious call
I know the leak is going to tell you
There ain't no puppy in your leash
So now he'll fertilize the roses
So I could stay the king you see
In your eyes, babe
So now we're dancing through the garden
And what a garden I have made
And now that death will grow my jasmine
I find it soothing I'm afraid
Now there is no need for suspicion
There ain't no frog kissing your hand
I won't be lying when I tell you
That I'm a gardner I'm a man
In your eyes babe
Ini lagu dari The Tallest Man On Earth, yg sangat sering gw puter. Pertama kali denger bukan main jatuh cintanya gw ma lagu ini…lebay, tp ga boong. Setelah gw liat liriknya gw jd makin jatuh cinta.kalo ni artist di iTunes bs interaksi ma kita, dy pasti udah bilang “woy, cape nyet nyanyi mulu!!gw beli senar dlu, putus nih udah 3!”. Mmmm…ok, that’s drama…
Kalo menurut gw, lagunya tipe “just-another -love-songs” yg akan sering kita puter. Is it sooo teenagers-i-hate-life-and-school- sucks-so-i-could-kill-myself-with-just-a-fork-and-a-beer-can?? Nope! Yang bikin menarik adalah ide gimana dia menggambarkan struggle yg dia lakuin utk kekasihnya. Tidak dgn kalimat langsung, tp metaphor (I love metaphor and analogy…much!), dgn penggambaran sebuah ‘taman’, dan dia sebagai ‘tukang kebunnya’ (gardener ma gardner beda ga?apa Cuma karena cara dia nyanyi ya?)
Emang lagu ini bikin multi interpretasi bgt. Tp menurut gw, yg perlu diliat tuh (ada bbrp kata kunci) “sense” sama “runner-spy-leak”. Runner dkk ini bukan seseorang atau sesuatu, tp kaya bentuk inner strugglenya dia, sesuatu yg ga nyata, keburukan (mgkn) dia. Yg dia takutin akan jadi boomerang buat dia dlm hubungan dia dgn kekasihnya. Dan dia make kata “sense” bukan “see” (misalnya) disini, yg artinya ‘merasakan’, kalo gw anggepnya kaya bentuk paranoidnya dia. Kalo kita berhalusinasi, kita ‘merasa’ ada sesuatu kn? Apa blm pernah berhalusinasi??haha…
Si “runner” bercerita kaya si vokalis tuh suka melakukan kesalahan yg seharusnya ga dia lakuin (steamboat in the meadow). Dan gw belum tau yg dimaksud ‘cowboy’ ma dia apa. Dan kenapa ‘hair’? “Spy” juga gitu, kaya kesalahan masa lalu yg berusaha dia hilangkan, tp sebenrnya bukti2 halusnya masi suka terlihat. “Leak” dia berhalusinasi sesuatu akan ‘menelepon’ pasangannya dan cerita ttg kekurangan si vokalis.
What comes next are data records, not part of the entry =
=====
# Nd5DyAu6
Theoretical XRD peak list, λ = 1.5418 Å (Cu Kα). Input: a DFT-relaxed cell (PBE, Alexandria).

The 8 most intense peaks (10 to 90 degrees two-theta), low angle first:
2θ (°), d_spacing, intensity, h k l
34.20, 2.622, 51, 2 0 -2
34.33, 2.612, 100, 2 2 1
49.07, 1.857, 9, 4 0 2
49.22, 1.851, 9, 8 0 -2
49.53, 1.840, 9, 0 4 0
61.30, 1.512, 28, 0 2 3
61.37, 1.511, 9, 6 2 -3
61.57, 1.506, 18, 2 4 -2

Cell lengths 16.570, 7.361, 5.243 Å; angles 90.00, 108.28, 90.00 degrees
Space group C2/m (No. 12)
Inequivalent atoms, fractional coordinates:
Nd 0.000 0.000 0.000 [2 per cell]
Nd 0.165 0.000 0.665 [4 per cell]
Nd 0.169 0.500 0.669 [4 per cell]
Dy 0.000 0.500 0.000 [2 per cell]
Au 0.000 0.267 0.500 [4 per cell]
Au 0.162 0.259 0.161 [8 per cell]



# KSr7
Theoretical XRD peak list, λ = 1.5418 Å (Cu Kα). Input: a DFT-relaxed cell (PBE, Alexandria).

The 8 most intense peaks (10 to 90 degrees two-theta), low angle first:
2θ (°), d_spacing, intensity, h k l
23.88, 3.726, 23, 2 0 0
25.26, 3.526, 26, 0 0 2
27.06, 3.295, 100, 2 0 1
35.04, 2.561, 17, 2 0 2
42.00, 2.151, 20, 2 2 0
45.63, 1.988, 24, 2 0 3
49.64, 1.837, 24, 2 2 2
50.68, 1.801, 17, 4 0 1

Cell lengths 8.6058, 8.6058, 7.0519 Å; angles 90.00, 90.00, 120.00 degrees
Space group P-6m2 (No. 187)
Inequivalent atoms, fractional coordinates:
K 0.0000 0.0000 0.0000 [1 per cell]
Sr 0.0009 0.5004 0.0000 [3 per cell]
Sr 0.1700 0.3400 0.5000 [3 per cell]
Sr 0.6667 0.3333 0.5000 [1 per cell]



# Y2TeSe
Theoretical XRD peak list, λ = 1.5418 Å (Cu Kα). Input: a DFT-relaxed cell (PBE, Alexandria).

The 8 most intense peaks (10 to 90 degrees two-theta), low angle first:
2θ (°), d_spacing, intensity, h k l
26.82, 3.324, 4, 1 0 3
29.83, 2.995, 100, 2 0 0
42.69, 2.118, 73, 2 2 0
52.95, 1.729, 25, 2 2 4
61.94, 1.498, 7, 0 4 0
62.03, 1.496, 4, 4 0 0
70.28, 1.339, 31, 4 2 0
78.17, 1.223, 23, 4 2 4

Cell lengths 5.984, 5.993, 11.987 Å; angles 90.00, 90.00, 90.00 degrees
Space group Imma (No. 74)
Inequivalent atoms, fractional coordinates:
Y 0.000 0.250 0.111 [4 per cell]
Y 0.000 0.250 0.632 [4 per cell]
Te 0.000 0.250 0.372 [4 per cell]
Se 0.000 0.250 0.872 [4 per cell]



# Hg3P2S8
Theoretical XRD peak list, λ = 1.5418 Å (Cu Kα). Input: a DFT-relaxed cell (PBE, Alexandria).

The 8 most intense peaks (10 to 90 degrees two-theta), low angle first:
2θ (°), d_spacing, intensity, h k l
13.90, 6.373, 100, 1 1 1
19.70, 4.506, 59, 2 1 1
24.19, 3.679, 52, 2 2 1
25.52, 3.490, 44, 3 1 0
29.17, 3.061, 58, 3 0 2
33.47, 2.677, 47, 3 2 2
34.47, 2.602, 37, 3 3 0
37.33, 2.409, 61, 4 2 1

Cell lengths 11.038, 11.038, 11.038 Å; angles 90.00, 90.00, 90.00 degrees
Space group P2_13 (No. 198)
Inequivalent atoms, fractional coordinates:
Hg 0.105 0.266 0.878 [12 per cell]
P 0.095 0.405 0.595 [4 per cell]
P 0.116 0.884 0.384 [4 per cell]
S 0.003 0.278 0.218 [12 per cell]
S 0.010 0.010 0.010 [4 per cell]
S 0.011 0.989 0.489 [4 per cell]
S 0.018 0.794 0.801 [12 per cell]



# Nd3Ga3Au8
=====
Back to the entry =
Btw, apa kalimat ini “I know the leak is going to tell you,There ain't no puppy in your leash” maksudnya kaya ‘sesuatu’ ini memprovokasi pasangannya bahwa “eh dia tuh ga bakalan patuh ma lo, seperti anak anjing” (puppy in ur leash)--------> He (vokalis) is not like a yes-mam! Puppy. Kaya gitu ga? Gw menafsirkan seperti itu.
Anyway, tapi dari semua ‘inner-struggle’ dia, sifat2 buruk, ketika si vokalis bisa menang lawan itu semua, dia kaya sedang menanam, memupuk, dan menyuburkan ‘bunga2’ yang dia siapkan di ‘taman’ yang dia bikin untuk kekasihnya.
2 verse terakhir cerita tentang gimana akhirnya dia berhasil menyelesaikan ‘taman’ yg dia buat untuk kekasihnya. Dan tetap seperti biasa, kematian dari keburukan dia akan semakin menyuburkan dan memperindah ‘taman’ yang dia buat. Dan gw paling suka verse terakhir, dia kaya bilang ke kekasihnya
Now there is no need for suspicion
There ain't no frog kissing your hand
I won't be lying when I tell you
That I'm a gardner I'm a man
In your eyes babe
There ain't no frog kissing your hand
I won't be lying when I tell you
That I'm a gardner I'm a man
In your eyes babe
“walopun taman ini susah buatnya dan sekarang sangat indah, bukan berarti gw seorang pangeran super seperti di cerita yg bisa berubah dr kodok jd manusia, atau kaya Midas yg bisa bikin emas dari sentuhannya. Gw bikin ini dengan susah payah, dengan kemampuan yang terbatas dari gw sebagai manusia, tp gw akan tetap berusaha menjadi ‘tukang kebun’ yg baik, supaya taman ini tetap indah, nyaman dan damai untuk kita bermain dan melepas penat di tengah2 bisingnya dan kotornya dunia”
Yup ini kisah seseorang yang berusaha membuat sesuatu agar dia selalu menjadi orang yang berharga di mata orang2 yg dia sayangi.
Again…another Gold for the dying and furious soul from the folk scene. Love it very much!
check this source. maybe this can be a little help to complete your analysis:
makasih della... =)